Could you reproduce the whole of the notes further below without additions?
{"formula": "C2H12NO3", "method": "wB97M-V/def2-TZVPD", "e_homo_ev": -15.1, "charge": 1, "relative_energy_kj_mol": 274.8, "e_lumo_ev": -4.58, "multiplicity": 1, "energy_ev": -9892.5962, "elements": ["C", "C", "N", "H", "H", "H", "H", "H", "H", "H", "H", "O", "H", "H", "O", "H", "H", "O"], "coordinates": [[1.003, -0.143, 0.893], [-1.136, 0.254, -0.463], [-0.230, -0.555, 0.133], [1.552, 0.425, 0.214], [0.686, 0.315, 1.909], [1.497, -1.123, 1.126], [-0.754, 1.300, -0.772], [-2.145, -0.181, -0.949], [-0.203, -1.485, -0.175], [-2.283, -2.933, 1.467], [-0.983, -3.414, 0.814], [-1.687, -2.729, 0.700], [1.665, 3.282, 1.624], [2.563, 2.310, 2.010], [1.766, 2.385, 1.547], [0.189, -0.013, -3.441], [-0.207, 1.495, -3.365], [0.024, 0.749, -2.744]], "lowdin_charge": [-0.014, 0.158, -0.032, 0.058, 0.132, 0.111, 0.129, 0.168, 0.091, 0.084, 0.073, -0.084, 0.010, 0.034, 0.000, 0.126, 0.083, -0.127]}

~~~~~

Entry 1:
{"formula": "C3H6N2O2", "method": "the ωB97M-V functional and the def2-TZVPD basis", "species": ["C", "C", "C", "H", "H", "H", "H", "H", "H", "N", "N", "O", "O"], "xyz": [[3.35026, 0.60332, -0.30401], [-0.05945, -0.66918, 0.40767], [-3.32745, 0.46798, 0.08003], [4.19768, -0.03002, -0.43368], [2.87292, 1.62698, 0.18768], [-0.01003, -1.55630, -0.38263], [0.04158, -1.03104, 1.50345], [-2.97800, 1.46046, 0.81146], [-4.45126, 0.11829, 0.00022], [2.50874, -0.46962, -0.04269], [-2.37419, -0.38979, -0.59361], [1.03819, 0.13992, 0.24592], [-1.08755, 0.23693, -0.03775]], "atomic_forces_ev_per_a": [[-6.8842, -3.4016, 4.0433], [0.5397, -2.5715, -1.7881], [2.9292, -2.7192, -1.5112], [1.8786, 1.1639, -0.3493], [2.0094, -2.2741, -2.0532], [-0.2818, 1.3493, 1.8726], [-1.5410, 0.4386, -1.4997], [-0.9631, -3.3562, -2.3573], [2.4498, 1.0494, -0.1944], [-0.8873, 4.8120, -1.2909], [-2.6511, 5.5300, 5.6728], [4.3024, 1.1140, -0.5560], [-0.9007, -1.1346, 0.0115]], "lowdin_charge": [0.001, -0.321, -0.009, 0.041, 0.154, 0.148, 0.140, 0.144, 0.076, 0.059, 0.039, -0.225, -0.246], "molar_mass_g_mol": 102.1, "smiles": "C=NOCON=C", "homo_lumo_gap_ev": 9.851}

Entry 2:
{"formula": "C3H6N2O2", "method": "the ωB97M-V functional and the def2-TZVPD basis", "species": ["C", "C", "C", "H", "H", "H", "H", "H", "H", "N", "N", "O", "O"], "xyz": [[-1.78319, -0.06374, -0.20288], [1.62225, -0.99374, 0.06740], [0.03040, 1.20893, 0.03989], [-1.59153, 0.33344, -1.17650], [-2.43584, -0.98354, 0.08449], [-2.11073, 0.93046, 0.23335], [2.39007, -1.63165, -0.30745], [1.38424, -1.32199, 1.25069], [-0.62844, 2.05299, 0.09366], [-0.55009, -0.28832, 0.58526], [1.22201, 1.44825, -0.17224], [0.37482, -1.09943, -0.47429], [2.07604, 0.40833, -0.02139]], "atomic_forces_ev_per_a": [[-1.4315, -0.8920, 3.2322], [-2.5464, 1.1206, 4.6891], [-0.9119, -2.2879, 2.9666], [-0.0796, -1.1444, -1.3009], [0.5133, 1.9612, -1.4938], [-0.8434, -1.6460, 0.2244], [0.2905, -0.1449, -0.9105], [1.4819, 1.1366, -2.6196], [-0.5407, 0.0223, -0.1705], [2.5895, 3.5725, -4.7696], [0.9251, -0.8421, -0.3080], [-1.4676, 0.3570, 0.5483], [2.0209, -1.2131, -0.0877]], "lowdin_charge": [-0.139, -0.231, -0.128, 0.072, 0.126, 0.084, 0.116, 0.171, 0.105, 0.020, 0.053, -0.134, -0.116], "molar_mass_g_mol": 102.1, "smiles": "CN1C=NOCO1", "homo_lumo_gap_ev": 10.601}

Entry 3:
{"formula": "C2H12NO3", "method": "wB97M-V/def2-TZVPD", "e_homo_ev": -15.1, "charge": 1, "relative_energy_kj_mol": 274.8, "e_lumo_ev": -4.58, "multiplicity": 1, "energy_ev": -9892.5962, "elements": ["C", "C", "N", "H", "H", "H", "H", "H", "H", "H", "H", "O", "H", "H", "O", "H", "H", "O"], "coordinates": [[1.003, -0.143, 0.893], [-1.136, 0.254, -0.463], [-0.230, -0.555, 0.133], [1.552, 0.425, 0.214], [0.686, 0.315, 1.909], [1.497, -1.123, 1.126], [-0.754, 1.300, -0.772], [-2.145, -0.181, -0.949], [-0.203, -1.485, -0.175], [-2.283, -2.933, 1.467], [-0.983, -3.414, 0.814], [-1.687, -2.729, 0.700], [1.665, 3.282, 1.624], [2.563, 2.310, 2.010], [1.766, 2.385, 1.547], [0.189, -0.013, -3.441], [-0.207, 1.495, -3.365], [0.024, 0.749, -2.744]], "lowdin_charge": [-0.014, 0.158, -0.032, 0.058, 0.132, 0.111, 0.129, 0.168, 0.091, 0.084, 0.073, -0.084, 0.010, 0.034, 0.000, 0.126, 0.083, -0.127]}

~~~~~

Entry 1:
{"formula": "C3H6N2O2", "method": "the ωB97M-V functional and the def2-TZVPD basis", "species": ["C", "C", "C", "H", "H", "H", "H", "H", "H", "N", "N", "O", "O"], "xyz": [[3.35026, 0.60332, -0.30401], [-0.05945, -0.66918, 0.40767], [-3.32745, 0.46798, 0.08003], [4.19768, -0.03002, -0.43368], [2.87292, 1.62698, 0.18768], [-0.01003, -1.55630, -0.38263], [0.04158, -1.03104, 1.50345], [-2.97800, 1.46046, 0.81146], [-4.45126, 0.11829, 0.00022], [2.50874, -0.46962, -0.04269], [-2.37419, -0.38979, -0.59361], [1.03819, 0.13992, 0.24592], [-1.08755, 0.23693, -0.03775]], "atomic_forces_ev_per_a": [[-6.8842, -3.4016, 4.0433], [0.5397, -2.5715, -1.7881], [2.9292, -2.7192, -1.5112], [1.8786, 1.1639, -0.3493], [2.0094, -2.2741, -2.0532], [-0.2818, 1.3493, 1.8726], [-1.5410, 0.4386, -1.4997], [-0.9631, -3.3562, -2.3573], [2.4498, 1.0494, -0.1944], [-0.8873, 4.8120, -1.2909], [-2.6511, 5.5300, 5.6728], [4.3024, 1.1140, -0.5560], [-0.9007, -1.1346, 0.0115]], "lowdin_charge": [0.001, -0.321, -0.009, 0.041, 0.154, 0.148, 0.140, 0.144, 0.076, 0.059, 0.039, -0.225, -0.246], "molar_mass_g_mol": 102.1, "smiles": "C=NOCON=C", "homo_lumo_gap_ev": 9.851}

Entry 2:
{"formula": "C3H6N2O2", "method": "the ωB97M-V functional and the def2-TZVPD basis", "species": ["C", "C", "C", "H", "H", "H", "H", "H", "H", "N", "N", "O", "O"], "xyz": [[-1.78319, -0.06374, -0.20288], [1.62225, -0.99374, 0.06740], [0.03040, 1.20893, 0.03989], [-1.59153, 0.33344, -1.17650], [-2.43584, -0.98354, 0.08449], [-2.11073, 0.93046, 0.23335], [2.39007, -1.63165, -0.30745], [1.38424, -1.32199, 1.25069], [-0.62844, 2.05299, 0.09366], [-0.55009, -0.28832, 0.58526], [1.22201, 1.44825, -0.17224], [0.37482, -1.09943, -0.47429], [2.07604, 0.40833, -0.02139]], "atomic_forces_ev_per_a": [[-1.4315, -0.8920, 3.2322], [-2.5464, 1.1206, 4.6891], [-0.9119, -2.2879, 2.9666], [-0.0796, -1.1444, -1.3009], [0.5133, 1.9612, -1.4938], [-0.8434, -1.6460, 0.2244], [0.2905, -0.1449, -0.9105], [1.4819, 1.1366, -2.6196], [-0.5407, 0.0223, -0.1705], [2.5895, 3.5725, -4.7696], [0.9251, -0.8421, -0.3080], [-1.4676, 0.3570, 0.5483], [2.0209, -1.2131, -0.0877]], "lowdin_charge": [-0.139, -0.231, -0.128, 0.072, 0.126, 0.084, 0.116, 0.171, 0.105, 0.020, 0.053, -0.134, -0.116], "molar_mass_g_mol": 102.1, "smiles": "CN1C=NOCO1", "homo_lumo_gap_ev": 10.601}

Entry 3: